Pinned issues
- 2
#951 opened by rockfordlhotka - 14
Unable to configure AppServerCore
#907 opened by ashishsinha24 - 17
PropertyChanged not fired from ObjectRule
#919 opened by tsvideo - 7
- 6
- 7
Require Dependency Injection
#948 opened by rockfordlhotka - 2
Async call for CSLA 5.2.0-R20050802
#950 opened by fundez - 2
Blazor Server Side. Authorization not work when deploy on Azure WebSite with SignalR
#949 opened by RolandoTonin - 0
CSLA 5.2.0-20050802 prerelease
#947 opened by rockfordlhotka - 34
BusinessRuleAsync and CSLA0018
#903 opened by brinawebb - 5
- 3
Dapper and Csla Helper Classes
#946 opened by Chicagoan2016 - 6
Andriod and iOS apps
#925 opened by Chicagoan2016 - 3
"Data binding" for rules
#945 opened by rockfordlhotka - 2
- 0
CSLA version 5.2.0 prerelease 20042901
#943 opened by rockfordlhotka - 7
- 0
Rocky Lhotka and CSLA .NET AMA survey
#933 opened by rockfordlhotka - 25
Blazor ViewModel additional functionality (3 questions)
#938 opened by j055 - 0
CSLA version 5.2.0 prerelease 20042401
#939 opened by rockfordlhotka - 1
Add virtual to Parent
#937 opened by Cuiqs76 - 4
Including DataPortalController in Blazor.Server
#936 opened by animjn - 9
Xamarin IOS Linking
#929 opened by Gevand - 7
2 Blazor Questions
#934 opened by fundez - 8
HttpProxy Authentication Problem
#935 opened by jdchristian - 11
Already an open DataReader in Blazor server app using DI or ConnectionManager or Both
#920 opened by bboney - 3
Blazor app and 'local' DataPortal
#924 opened by Chicagoan2016 - 2
Quick questions about Csla 5.xx
#932 opened by Chicagoan2016 - 7
Child_XYZ Async no wait server response
#922 opened by Cuiqs76 - 3
CslaPolicy not found when used in AuthorizeView
#927 opened by Brannos1970 - 4
Blazor Server Side & ApplicationContext
#931 opened by clodewyks - 1
Saving produces an "Property get not allowed" exception on LazyLoad properties
#928 opened by Brannos1970 - 5
Logging CSLA performance with ELK APM
#926 opened by BlagoCuljak - 0
Version 5.2.0 prerelease
#923 opened by rockfordlhotka - 6
Correct use For attribute on CSLAValidationMessage component of CSLA Blazor
#921 opened by Brannos1970 - 10
- 2
Changing properties within an aysnc rule
#917 opened by Marjon80 - 11
Obsolete BeginCreate and BeginFetch
#915 opened by BlagoCuljak - 3
Anyone have a CSLA assessment quiz I could use
#916 opened by swegele - 7
- 1
Visual Studio IDE and Blazor
#914 opened by Chicagoan2016 - 3
Choice between Technologies
#911 opened by ashishsinha24 - 2
- 7
CSLA.Data.ContextManager not found
#910 opened by schreindog20 - 3
- 1
Need a Mac to debug iOS Apps?
#906 opened by Chicagoan2016 - 3
WPF XAML FriendlyName property
#905 opened - 4
Purpose of OnMetaPropertyChanged
#904 opened by Marjon80 - 4
Issue Running Project Tracker Blazor Sample
## Next to the piece, the page also holds calculated molecules
=====
{"formula": "C29H62BClN2O4Si", "method": "ωB97M-V/def2-TZVPD", "multiplicity": 3, "charge": 0, "lumo_energy_ev": [0.288, 0.288], "symbols": ["C", "C", "C", "C", "C", "C", "C", "C", "C", "C", "C", "Si", "Cl", "B", "O", "O", "H", "H", "H", "H", "H", "H", "H", "H", "H", "H", "H", "H", "H", "H", "H", "H", "H", "H", "H", "H", "H", "H", "H", "H", "H", "H", "C", "C", "C", "C", "C", "C", "N", "O", "C", "C", "C", "H", "H", "H", "H", "H", "H", "H", "H", "H", "H", "H", "H", "H", "H", "H", "H", "H", "H", "C", "C", "C", "C", "C", "C", "N", "O", "C", "C", "C", "H", "H", "H", "H", "H", "H", "H", "H", "H", "H", "H", "H", "H", "H", "H", "H", "H", "H"], "xyz": [[-4.7972, 0.1540, 2.4178], [-3.4385, -0.3062, 2.9487], [-3.1071, -1.7472, 2.5738], [-1.7125, -2.1619, 3.0492], [-1.0208, -3.3067, 2.2786], [-1.9071, -4.2922, 1.5166], [-2.8433, -5.1737, 2.3552], [-2.1941, -6.4808, 2.8691], [-2.3855, -6.8358, 4.3522], [-1.3234, -6.2821, 5.3050], [-1.5243, -4.7943, 5.6640], [-1.7835, -4.3675, 7.4681], [-3.8228, -4.3502, 7.8542], [-1.0431, -2.5070, 7.7866], [-1.8081, -1.4286, 7.4212], [0.2356, -2.4014, 8.2656], [-4.7152, 0.6009, 1.4251], [-5.2686, 0.8938, 3.0666], [-5.4876, -0.6892, 2.3347], [-3.4080, -0.2080, 4.0386], [-2.6482, 0.3446, 2.5599], [-3.8687, -2.3963, 3.0183], [-3.1930, -1.8612, 1.4880], [-1.7576, -2.3880, 4.1178], [-1.0670, -1.2829, 2.9603], [-0.3720, -3.8734, 2.9551], [-0.3506, -2.8326, 1.5584], [-2.4800, -3.7557, 0.7567], [-1.2439, -4.9606, 0.9556], [-3.2677, -4.6096, 3.1892], [-3.6962, -5.4373, 1.7252], [-2.6088, -7.3069, 2.2866], [-1.1224, -6.4683, 2.6399], [-3.3740, -6.4881, 4.6751], [-2.4015, -7.9240, 4.4520], [-0.3403, -6.4060, 4.8417], [-1.3073, -6.9001, 6.2077], [-0.6735, -4.1914, 5.3304], [-2.3929, -4.3995, 5.1309], [-1.1846, -5.4118, 8.3311], [-1.3308, -0.6153, 7.1992], [0.5790, -1.4983, 8.3294], [1.5854, -0.0524, -2.2536], [0.5087, -0.1841, -1.1742], [-0.6801, 0.7555, -1.4408], [-0.3778, 2.2246, -1.1743], [0.1193, 2.4119, 0.2550], [1.3610, 1.5680, 0.5665], [1.0453, 0.1357, 0.1975], [0.4991, -0.5358, 1.1408], [2.5829, 2.1261, -0.1671], [1.6642, 1.5944, 2.0615], [0.0163, -1.6269, -1.1701], [2.2902, 0.7456, -2.0735], [2.1600, -0.9763, -2.3432], [1.1233, 0.1542, -3.2190], [-1.5144, 0.4419, -0.8045], [-0.9917, 0.6075, -2.4777], [0.3489, 2.6020, -1.9001], [-1.2907, 2.8076, -1.3151], [0.3657, 3.4592, 0.4535], [-0.6760, 2.1274, 0.9517], [3.4231, 1.4324, -0.1070], [2.8726, 3.0537, 0.3301], [2.3996, 2.3672, -1.2105], [0.8022, 1.2953, 2.6510], [1.9494, 2.6116, 2.3363], [2.4902, 0.9235, 2.2993], [0.8065, -2.3035, -0.8441], [-0.2633, -1.8862, -2.1940], [-0.8443, -1.7655, -0.5204], [3.4905, 3.2283, -7.0699], [2.2567, 3.0670, -6.1719], [1.0859, 3.9596, -6.6153], [1.2675, 5.4350, -6.2835], [1.5303, 5.6192, -4.7933], [2.7481, 4.8273, -4.3021], [2.5602, 3.3900, -4.7313], [1.9165, 2.6692, -3.8911], [4.0437, 5.4452, -4.8322], [2.8161, 4.8476, -2.7786], [1.8296, 1.6041, -6.2467], [4.1375, 4.0503, -6.7956], [4.0916, 2.3190, -7.0359], [3.1722, 3.3817, -8.1019], [0.1793, 3.5976, -6.1208], [0.9442, 3.8160, -7.6891], [2.0758, 5.8687, -6.8793], [0.3604, 5.9766, -6.5582], [1.6901, 6.6728, -4.5485], [0.6525, 5.2847, -4.2316], [4.8933, 4.7858, -4.6507], [4.2150, 6.3766, -4.2914], [4.0101, 5.6939, -5.8889], [1.8851, 4.5122, -2.3301], [3.0137, 5.8716, -2.4572], [3.6211, 4.2069, -2.4170], [2.5862, 0.9588, -5.8012], [1.7228, 1.3397, -7.3013], [0.8853, 1.4275, -5.7390]], "atomic_forces_ev_per_a": [[-0.10, -0.02, -0.01], [0.02, 0.04, 0.02], [0.04, 0.02, -0.02], [0.02, 0.04, 0.04], [0.03, 0.02, -0.07], [0.04, -0.10, 0.01], [-0.01, -0.02, 0.03], [0.00, -0.02, -0.04], [-0.10, 0.06, -0.04], [-0.04, 0.04, -0.02], [0.07, -0.01, -0.04], [0.09, 0.09, -0.03], [-0.12, -0.08, 0.07], [-0.03, 0.10, 0.12], [0.17, 0.03, -0.35], [0.07, 0.16, -0.12], [0.03, -0.07, -0.02], [0.06, 0.03, -0.01], [0.00, 0.02, 0.06], [0.00, -0.03, -0.01], [-0.01, 0.01, 0.05], [-0.01, -0.05, -0.13], [0.02, 0.06, 0.01], [-0.09, -0.03, 0.02], [0.05, -0.07, 0.03], [-0.02, 0.05, 0.08], [0.01, -0.10, -0.04], [-0.05, 0.03, 0.06], [-0.03, 0.04, -0.06], [0.08, 0.07, -0.02], [-0.05, -0.03, 0.07], [0.08, 0.01, -0.06], [-0.01, 0.01, 0.07], [0.01, -0.08, 0.05], [0.04, 0.00, -0.03], [-0.01, -0.06, 0.03], [-0.02, 0.05, 0.01], [-0.01, -0.03, -0.06], [0.05, 0.10, 0.02], [-0.02, 0.04, 0.02], [-0.13, -0.16, 0.28], [-0.07, -0.18, 0.02], [0.16, -0.04, -0.03], [0.03, 0.01, 0.09], [-0.03, -0.01, -0.02], [0.04, 0.02, -0.02], [-0.01, 0.04, 0.01], [0.03, -0.18, 0.02], [-0.34, 0.15, -0.03], [0.21, -0.01, -0.06], [0.04, -0.05, 0.01], [-0.04, 0.07, -0.02], [-0.02, 0.04, -0.08], [-0.02, 0.04, -0.07], [-0.04, -0.02, 0.08], [-0.02, -0.06, -0.01], [0.04, -0.01, 0.05], [-0.05, 0.01, 0.01], [0.02, -0.04, 0.02], [0.01, 0.02, -0.03], [-0.04, 0.01, -0.02], [0.02, -0.02, 0.01], [0.00, 0.00, 0.00], [0.02, -0.01, 0.00], [-0.02, 0.03, 0.01], [0.00, -0.01, 0.01], [-0.01, -0.01, 0.01], [0.01, 0.00, 0.00], [0.00, 0.00, 0.00], [0.00, -0.02, 0.02], [-0.01, 0.00, 0.01], [0.04, -0.02, 0.06], [0.06, -0.05, 0.12], [-0.01, -0.01, -0.03], [0.02, 0.01, -0.02], [-0.01, 0.04, 0.01], [0.02, -0.19, 0.01], [-0.32, 0.12, -0.06], [0.24, 0.06, 0.02], [0.03, -0.04, 0.02], [-0.03, 0.06, -0.02], [-0.03, 0.04, -0.09], [-0.03, 0.04, -0.04], [0.03, 0.02, 0.02], [0.00, -0.05, -0.01], [0.03, -0.01, 0.04], [-0.05, 0.02, 0.01], [0.02, -0.02, 0.02], [0.02, 0.03, -0.03], [-0.04, 0.01, -0.02], [0.02, -0.02, 0.01], [0.00, 0.00, -0.01], [0.02, -0.01, 0.00], [-0.01, 0.03, 0.00], [-0.01, -0.01, 0.01], [-0.01, -0.02, 0.01], [0.01, 0.01, -0.01], [0.00, 0.00, 0.00], [-0.01, -0.01, 0.02], [-0.01, 0.00, 0.01]]}
=====
#902 opened by fundez - 13